The 2020 UW-Madison East Asian Language Pedagogy Workshop was canceled due to concerns about COVID-19 (Coronavirus).
“Technology, Literacy, and Multimodality”
Saturday, April 4, 2020
Pyle Center (702 Langdon Street, Madison, WI 53706)
The Center for East Asian Studies (a federally-funded Title VI National Resource Center), the Korean Flagship Program, and the Department of Asian Languages and Cultures at the University of Wisconsin-Madison are pleased to co-host a workshop for K-16 instructors of East Asian languages in Wisconsin and beyond.
Focusing on our theme of “technology, literacy and multimodality,” the event will include the following three presentors:
Plenary Speaker:
Dr. David Malinowski of San Jose State University
Panelists and Breakout Session Leaders:
Dr. Amber Navarre of Boston University
Ms. Jeeyoung Ahn Ha of the University of Illinois at Urbana-Champaign
The workshop will begin with Dr. Malinowski’s plenary talk, “Rethinking Multimodality for L2 Teaching and Learning,” followed by a a panel discussion with the two additional presenters. The panel will also preview highlights for the afternoon breakout sessions.
The three 2-hour breakout sessions in the afternoon explore more specific areas by drawing examples from Chinese, Japanese, and Korean respectively:
- “Multimodal language projects using technology,”
- “Expanding L2 learning with spatial literacies, technology, and community-based projects,”
- “Neutral Technology, Instructor’s Responsibility,”
The concluding session will share the outcomes of the breakout sessions and provide an opportunity to share ideas across languages. We hope that this unique format will enhance our mutual growth.
Click here to access the registration page, which will have pricing as described below, and requires entering a credit card number to complete. Please note that lunch is included in the registration costs. The registration web address is:
Early registration (until March 10)
General Registration (including UW–Madison Faculty): $50
K-12 Teachers: $35
Students: $25
Late registration (March 11-31)
General Registration (including UW–Madison Faculty): $65
K-12 Teachers: $50
Students: $40
Hotel accommodations
Lowell Center
A block of rooms is reserved at the Lowell Center, UW-Madison. To book a room at the special conference rate of $115 per night, please go to and reference EALPW as the group code. Please note that the room block reservation link and reference code can only be used through March 2, 2020.
A limited number of fellowships are available for K-12 teachers’ travel expenses. Please contact for more details. If you have any questions regarding the workshop contents, please contact Junko Mori at For logistical questions, please contact Laurie Dennis at
Program Schedule
9:00-9:15 Opening remarks
9:15-10:15 Plenary talk by David Malinowski, San Jose State University, “Rethinking Multimodality for L2 Teaching and Learning”
10:15-10:30 Coffee Break
10:30-12:00 Panel Discussion by invited speakers David Malinowski, Amber Navarre and Jeeyoung Ahn Ha, and preview of the afternoon sessions
12:00-1:00 Lunch Break (buffet is included in registration fee)
1:00-3:00 Break-out sessions led by invited speakers:
- Chinese focus: Amber Navarre, Boston University, “Multimodal Language Projects Using Technology”
- Japanese focus: David Malinowski, San Jose State University, “Expanding L2 learning with spatial literacies, technology, and community-based projects”
- Korean focus: Jeeyoung Ahn Ha, University of Illinois at Urbana-Champaign, “Neutral Technology, Instructor’s Responsibility: Making the best out of technology-enhanced language learning”
• What comes next are crystal structures, not part of the page:
'''
Computed, not measured: a relaxed structure of Tb5Er5Sc at the PBE level of DFT.

Calculated values
The calculation puts the formation energy at 0.373 eV/atom. Its crystal system is hexagonal. The calculation puts the total DFT energy (no corrections) at -48.19 eV for the cell shown.

The structure in CIF format:
```
data_Tb5Er5Sc
_chemical_formula_sum 'Tb5 Er5 Sc1'
_space_group_name_H-M_alt 'P -6 m 2'
_space_group_IT_number 187
_space_group_name_Hall 'P -6 2'
_cell_length_a 6.0044
_cell_length_b 6.0044
_cell_length_c 11.3533
_cell_angle_alpha 90.00
_cell_angle_beta 90.00
_cell_angle_gamma 120.00
loop_
_atom_site_label
_atom_site_fract_x
_atom_site_fract_y
_atom_site_fract_z
Tb1 0.0000 0.0000 0.2367
Tb2 0.3379 0.1690 0.0000
Er1 0.0000 0.0000 0.5000
Er2 0.3333 0.6667 0.1903
Er3 0.6667 0.3333 0.3429
Sc1 0.3333 0.6667 0.5000
```

----------

Material: ZnP2Se
Method: DFT, PBE-GGA
State: optimized geometry

Properties
energy relative to the lowest polymorph listed for this composition = 24.8 kJ/mol of atoms
formation energy (no corrections) = 0.14 eV per atom
E = -15.02 eV per cell
symmetry = Imm2 (44)
volume = 93.9 Å³/f.u.

a b c (Å): 8.799 8.799 8.799
angles (deg): 159.87 156.38 31.22
Fractional positions:
P  0.888  0.888  0.000
P  0.801  0.301  0.500
Zn  0.205  0.705  0.500
Se  0.606  0.606  0.000

***

Material: ZnPSe2
Method: DFT, PBE-GGA
State: optimized geometry

Properties
energy relative to the lowest polymorph listed for this composition = 63.5 kJ/mol of atoms
formation energy (no corrections) = 0.58 eV per atom
E = -11.32 eV per cell
symmetry = F-43m (216)
volume = 73.0 Å³/f.u.

a b c (Å): 4.692 4.692 4.692
angles (deg): 60.00 60.00 60.00
Fractional positions:
Se  0.750  0.750  0.750
Zn  0.250  0.250  0.250
Se  0.000  0.000  0.000
P  0.500  0.500  0.500

***

Material: ZnP2Se
Method: DFT, PBE-GGA
State: optimized geometry

Properties
energy relative to the lowest polymorph listed for this composition = 35.9 kJ/mol of atoms
formation energy (no corrections) = 0.26 eV per atom
E = -14.56 eV per cell
symmetry = C2/m (12)
volume = 76.7 Å³/f.u.

a b c (Å): 4.028 4.028 7.954
angles (deg): 103.63 103.63 37.85
Fractional positions:
Zn  0.250  0.250  0.250
Se  0.750  0.750  0.750
P  0.584  0.584  0.441
P  0.916  0.916  0.059

***

Material: ZnPSe3
Method: DFT, PBE-GGA
State: optimized geometry

Properties
formation energy (no corrections) = 0.44 eV per atom
E = -14.92 eV per cell
symmetry = Pm-3m (221)
volume = 113.6 Å³/f.u.

a b c (Å): 4.843 4.843 4.843
angles (deg): 90.00 90.00 90.00
Fractional positions:
Zn  0.500  0.500  0.500
Se  0.000  0.000  0.500
P  0.000  0.000  0.000
Se  0.000  0.500  0.000
Se  0.500  0.000  0.000

***

Material: ZnPSe2
Method: DFT, PBE-GGA
State: optimized geometry

Properties
energy relative to the lowest polymorph listed for this composition = 55.1 kJ/mol of atoms
formation energy (no corrections) = 0.50 eV per atom
E = -11.66 eV per cell
symmetry = Pmmm (47)
volume = 75.6 Å³/f.u.

a b c (Å): 3.250 5.331 4.364
'''
3:00-3:15 Coffee Break
3:15-4:00 Concluding discussion to share outcomes and evaluate the workshop
Plenary Talk
“Rethinking Multimodality for L2 Teaching and Learning”
Dr. David Malinowski of San Jose State University
The focus on multimodality in language and literacy scholarship over the past few decades may sound to many L2 educators like ‘old news’ and ‘other people’s business,’ both at the same time. On the one hand, language teachers are quick to recognize the many ways in which gesture, image, sound, spatial layout and other modes work together with writing and speech to augment and enrich expression, and mixed-media texts and technologies have long been at the heart of language teaching and learning practice. At the same time, however, the L2 instructor may understandably feel ill-equipped or under-resourced to augment their language pedagogical expertise with knowledge of film, dance, theater, visual analysis, graphic design and other means of multimodal communication (cf. Kaiser & Shibahara, 2014); meanwhile, the relevance of multimodality to language as it is tested and assessed may seem tangential at best.
In this talk, I argue that multimodality for L2 learning may best be approached as a set of interested, creative, and transformative practices that can develop students’ linguistic awareness and symbolic competence, rather than as a static description of multiple semiotic systems (speech, image, gesture, etc.). In doing so, I return to Gunther Kress’ (2003) foundational notions of transformation and transduction in meaning design (“the reshaping of semiotic resources and the migration of semiotic material across modes, respectively,” Hull & Nelson, 2005, p. 230), taking these both literally and figuratively as an invitation to rethink some pressing concerns in L2 instruction today.
In a literal sense, activities that ask students to transform and transduce meaning across modes—taking and narrating photographs as first steps toward composing an essay, for example (cf. Stein, 2000)—provide powerful opportunities to integrate student voices, media literacies, and language learning outcomes (cf. Paesani, Allen & Dupuy, 2016). And, in a more figurative sense, a multimodal pedagogy of transduction may serve as a call for language teachers and learners to document, analyze, and critique the gains and losses in meaning-making potential that obtain when new technologies replace older technologies, for instance (cf. Kern & Malinowski, 2016), and when learners leave the face-to-face language classroom for community-based projects, or take their first online class.
Based on these and other examples, and drawing connections to established standards for technology in language teaching (e.g., TESOL Technology Standards, Healey et al., 2008, 2011), I will provide a set of suggested guidelines and sample projects for L2 teachers to integrate multimodal transformations and transductions into their everyday classroom practice, and thus make the ‘business’ of multimodal pedagogies their own.
Breakout Sessions
Multimodal Language Projects Using Technology
(Focus on Chinese, but open to other language specialists)
Dr. Amber Navarre (Boston University)
Multimodal communication uses multiple types of semiotics (e.g. text, speech, visuals, audio, and kinesthetic input) to express, interpret, and negotiate meaning. Developing multimodal literacy in a language classroom is particularly important because a considerable amount of our day-to-day communication is by nature multimodal, ranging from more traditional media (e.g. storybooks with images; movies and TV shows that have both visuals and audio) to Internet/mobile content (e.g. web pages containing texts, images, and videos; mobile games integrating audio, visuals, and hands-on interaction) and to communication in more personal domains (e.g. “texting” with not only text but also emojis, GIFs, and recorded voice; personal stories on social media with captioned photos). This workshop aims to introduce several technological tools and methods with real classroom examples (in both face-to-face and online learning contexts) that engage learners in multimodal language projects and prepare them to be more effective consumers and creators of multimodal communication.
Expanding L2 learning with spatial literacies, technology, and community-based projects
(Focus on Japanese, but open to other language specialists)
David Malinowski (San Jose State University)
When proponents of multimodal literacies explain the “modes” that are most important for everyday communication, they often cite definitions such as that of Jewitt & Kress (2003, p. 1): “[modes are] regularized [and] organized set of resources for meaning-making, including, image, gaze, gesture, movement, music, speech and sound-effect.” While helpful, such listings usually overlook the spatial mode, which may be considered difficult to teach, but which is crucial for students’ abilities to understand and synthesize language learning contexts and experiences. This workshop addresses this challenge by offering practical ways for L2 teachers to identify and develop students’ language and literacy skills in space and place, from multilingual classrooms to study abroad destinations. Participants will experiment with technology-enabled activities that bridge classroom and community—including place-based discussions, games, interviews, and other forms of language observation and analysis—while considering appropriate learning outcomes and assessments.
Neutral Technology, Instructor’s Responsibility: Making the best out of technology-enhanced language learning
(Focus on Korean)
Ms. Jeeyoung Ahn Ha (University of Illinois at Urbana-Champaign)
Affordances of technology-enhanced foreign language instruction have been described for many years now and no one will dispute that there are advantages as well as potential disadvantages of using technology in foreign language classroom. As Blake (2013) puts it, technology itself is neutral as a tool and it is up to language educators to use it so that it can truly facilitate language learning effectively and meaningfully. In this workshop, I will first discuss key factors in using technology effectively, based on a modular approach to writing in language instruction with the World-readiness Standards in mind. Then a few examples will be presented to show how to create technology-enhanced activities to foster critical thinking, intercultural competence, and learner autonomy. Attendees will leave with a clear understanding of ways to implement the sound use of technology in their own courses.
Blake, R. (2013). Brave new Digital Classroom: Technology and Foreign-Language Learning. Washington, DC: Georgetown University Press.